Exercise =
Your job: find the line further down that holds "0.206", then duplicate that line and all lines after it there.

Excerpt =
'''
DFT (ωB97M-V/def2-TZVPD) results for a single C17H25N5O2S molecule at a distorted geometry.

Frontier orbital gap = 0.303 hartree
HOMO level = -7.90 eV
Electronic energy = -1485.1568 Eh
LUMO level = 0.34 eV
Molecular weight = 363.49 g mol⁻¹
ΔE to the lowest compared entry with this formula, charge and spin = 267.7 kJ/mol

Last column: natural (NBO) charge in e.
Positions of all 50 atoms, in Å:
C 4.4575 -3.2081 1.8171  -0.396
N 3.8432 -1.9657 2.2880  -0.497
C 3.8345 -1.8122 3.7402  -0.397
C 2.8797 -1.2920 1.5002  0.164
C 1.5350 -1.7478 1.4514  -0.177
C 0.6195 -1.0395 0.6959  -0.219
C 1.0306 -0.0557 -0.1847  -0.062
C 0.0064 0.5237 -1.1668  0.025
C -1.0739 1.2833 -0.5524  -0.479
C -1.3351 1.4659 0.8719  0.688
O -0.5263 1.4553 1.8091  -0.601
N -2.7100 1.7548 1.1550  -0.474
C -3.2329 1.4856 2.4937  -0.409
C -3.4177 2.6613 0.3961  0.312
S -4.9564 3.1650 0.8490  -0.228
N -2.7505 3.0393 -0.7789  -0.467
C -3.4679 3.9351 -1.6994  -0.423
C -1.9143 2.0783 -1.4113  0.672
O -1.9325 1.9916 -2.6506  -0.712
N -0.5998 -0.7205 -2.2531  -0.100
C -0.3311 -0.3975 -3.6856  -0.436
C -0.1429 -2.1108 -2.0803  -0.414
N -2.0419 -0.8802 -2.2397  -0.662
C 2.3398 0.4474 -0.1193  -0.183
C 3.2514 -0.1627 0.7334  -0.214
H 4.3878 -3.2597 0.7259  0.206
H 5.5157 -3.2366 2.1127  0.194
H 3.9642 -4.0936 2.2480  0.167
H 3.3046 -0.8887 3.9971  0.214
H 3.3372 -2.6678 4.2231  0.168
H 4.8730 -1.7562 4.0945  0.193
H 1.2498 -2.6389 2.0162  0.212
H -0.4426 -1.2525 0.8628  0.213
H 0.4471 1.0570 -2.0356  0.216
H -2.5917 0.7501 2.9710  0.220
H -3.2989 2.4037 3.0935  0.215
H -4.2464 1.0959 2.3524  0.224
H -4.2878 4.3728 -1.1239  0.243
H -2.7886 4.7187 -2.0463  0.205
H -3.8674 3.3741 -2.5496  0.217
H 0.7087 -0.4827 -3.9407  0.213
H -0.8942 -1.1214 -4.2772  0.225
H -0.6624 0.6011 -3.9198  0.262
H 0.9178 -2.2272 -2.2202  0.221
H -0.3962 -2.5049 -1.1102  0.224
H -0.6778 -2.6867 -2.8434  0.223
H -2.3361 -1.0734 -1.3035  0.365
H -2.4386 0.0338 -2.4867  0.403
H 2.5877 1.3640 -0.6347  0.221
H 4.2706 0.2254 0.8159  0.226

* * * * *

No. 1
Formula: C6H16O
Source: the Open Molecules 2025 dataset
Level of theory: ωB97M-V with the def2-TZVPD basis set

Structure (XYZ):
```
23
Properties=species:S:1:pos:R:3:forces:R:3
C -1.4049 1.7226 -0.4165 -0.80 0.58 -0.73
C 1.0296 -1.1962 0.2247 -0.49 0.44 -1.01
C -1.4498 -1.2733 -0.5718 0.95 0.46 0.41
C 0.3944 -0.4570 -2.1289 -0.06 1.09 0.25
C -0.1742 0.9648 -0.0562 0.46 -0.79 0.24
C -0.0837 -0.4711 -0.6686 0.03 -1.63 1.30
H -1.4206 1.9739 -1.4904 -0.19 0.01 0.34
H -1.4902 2.6562 0.1646 -0.01 -0.31 -0.29
H -2.2777 1.0869 -0.1912 0.16 0.48 -0.13
H 0.8510 -1.1560 1.3124 -0.14 0.07 -0.48
H 1.9534 -0.6373 -0.0011 -0.08 -0.36 0.32
H 1.1748 -2.2493 -0.0693 -0.07 0.38 0.03
H -1.8792 -1.1020 0.4296 0.00 -0.23 -0.32
H -1.2323 -2.3490 -0.6820 -0.15 0.39 0.01
H -2.1983 -0.9863 -1.3294 0.40 0.02 0.25
H 0.6080 -1.4145 -2.6330 -0.24 0.19 0.61
H 1.3140 0.1520 -2.1263 -0.20 -0.22 -0.42
H -0.3802 0.0780 -2.7036 0.41 -0.18 -0.13
H 0.7634 1.4934 -0.3149 -0.43 -0.06 0.15
H -0.2271 0.8939 1.0473 0.44 -0.34 -0.36
O 2.0290 0.3754 4.1919 0.03 1.17 -0.38
H 1.2866 0.9269 3.8557 0.83 -0.56 0.35
H 2.8137 0.9681 4.1572 -0.87 -0.61 0.02
```
Forces are in eV/Å.

- Energy relative to the best compared isomer or geometry (same formula, charge and spin): 32.2 kJ/mol
- SMILES string: CCC(C)(C)C.O
- Gap between HOMO and LUMO: 11.36 eV
- 2S+1: 1

Atomic partial charges in e from the natural (NBO) method, atoms 1 to 5: C -0.61; C -0.61; C -0.63; C -0.62; C -0.40


No. 2
Formula: H3O6
Source: the Open Molecules 2025 dataset
Level of theory: ωB97M-V with the def2-TZVPD basis set

Structure (XYZ):
```
9
Properties=species:S:1:pos:R:3:forces:R:3
O -0.7837 -1.4870 0.7480 -1.96 -0.77 -0.29
O 1.4345 1.2344 0.2986 1.04 -0.87 -4.01
O 0.1130 -0.4257 -1.1985 -0.68 -1.99 -1.02
O -1.2981 -0.3031 0.8242 0.75 -1.40 -0.14
O 0.2442 1.6007 -0.1971 -0.59 2.39 0.11
O -0.6002 0.5226 -0.5931 0.44 0.06 -0.45
H -1.4817 -2.1458 0.2934 1.54 1.82 0.86
H 1.3173 1.2168 1.1964 -0.55 -0.09 4.31
'''

Here it is =
H 4.3878 -3.2597 0.7259  0.206
H 5.5157 -3.2366 2.1127  0.194
H 3.9642 -4.0936 2.2480  0.167
H 3.3046 -0.8887 3.9971  0.214
H 3.3372 -2.6678 4.2231  0.168
H 4.8730 -1.7562 4.0945  0.193
H 1.2498 -2.6389 2.0162  0.212
H -0.4426 -1.2525 0.8628  0.213
H 0.4471 1.0570 -2.0356  0.216
H -2.5917 0.7501 2.9710  0.220
H -3.2989 2.4037 3.0935  0.215
H -4.2464 1.0959 2.3524  0.224
H -4.2878 4.3728 -1.1239  0.243
H -2.7886 4.7187 -2.0463  0.205
H -3.8674 3.3741 -2.5496  0.217
H 0.7087 -0.4827 -3.9407  0.213
H -0.8942 -1.1214 -4.2772  0.225
H -0.6624 0.6011 -3.9198  0.262
H 0.9178 -2.2272 -2.2202  0.221
H -0.3962 -2.5049 -1.1102  0.224
H -0.6778 -2.6867 -2.8434  0.223
H -2.3361 -1.0734 -1.3035  0.365
H -2.4386 0.0338 -2.4867  0.403
H 2.5877 1.3640 -0.6347  0.221
H 4.2706 0.2254 0.8159  0.226

* * * * *

No. 1
Formula: C6H16O
Source: the Open Molecules 2025 dataset
Level of theory: ωB97M-V with the def2-TZVPD basis set

Structure (XYZ):
```
23
Properties=species:S:1:pos:R:3:forces:R:3
C -1.4049 1.7226 -0.4165 -0.80 0.58 -0.73
C 1.0296 -1.1962 0.2247 -0.49 0.44 -1.01
C -1.4498 -1.2733 -0.5718 0.95 0.46 0.41
C 0.3944 -0.4570 -2.1289 -0.06 1.09 0.25
C -0.1742 0.9648 -0.0562 0.46 -0.79 0.24
C -0.0837 -0.4711 -0.6686 0.03 -1.63 1.30
H -1.4206 1.9739 -1.4904 -0.19 0.01 0.34
H -1.4902 2.6562 0.1646 -0.01 -0.31 -0.29
H -2.2777 1.0869 -0.1912 0.16 0.48 -0.13
H 0.8510 -1.1560 1.3124 -0.14 0.07 -0.48
H 1.9534 -0.6373 -0.0011 -0.08 -0.36 0.32
H 1.1748 -2.2493 -0.0693 -0.07 0.38 0.03
H -1.8792 -1.1020 0.4296 0.00 -0.23 -0.32
H -1.2323 -2.3490 -0.6820 -0.15 0.39 0.01
H -2.1983 -0.9863 -1.3294 0.40 0.02 0.25
H 0.6080 -1.4145 -2.6330 -0.24 0.19 0.61
H 1.3140 0.1520 -2.1263 -0.20 -0.22 -0.42
H -0.3802 0.0780 -2.7036 0.41 -0.18 -0.13
H 0.7634 1.4934 -0.3149 -0.43 -0.06 0.15
H -0.2271 0.8939 1.0473 0.44 -0.34 -0.36
O 2.0290 0.3754 4.1919 0.03 1.17 -0.38
H 1.2866 0.9269 3.8557 0.83 -0.56 0.35
H 2.8137 0.9681 4.1572 -0.87 -0.61 0.02
```
Forces are in eV/Å.

- Energy relative to the best compared isomer or geometry (same formula, charge and spin): 32.2 kJ/mol
- SMILES string: CCC(C)(C)C.O
- Gap between HOMO and LUMO: 11.36 eV
- 2S+1: 1

Atomic partial charges in e from the natural (NBO) method, atoms 1 to 5: C -0.61; C -0.61; C -0.63; C -0.62; C -0.40


No. 2
Formula: H3O6
Source: the Open Molecules 2025 dataset
Level of theory: ωB97M-V with the def2-TZVPD basis set

Structure (XYZ):
```
9
Properties=species:S:1:pos:R:3:forces:R:3
O -0.7837 -1.4870 0.7480 -1.96 -0.77 -0.29
O 1.4345 1.2344 0.2986 1.04 -0.87 -4.01
O 0.1130 -0.4257 -1.1985 -0.68 -1.99 -1.02
O -1.2981 -0.3031 0.8242 0.75 -1.40 -0.14
O 0.2442 1.6007 -0.1971 -0.59 2.39 0.11
O -0.6002 0.5226 -0.5931 0.44 0.06 -0.45
H -1.4817 -2.1458 0.2934 1.54 1.82 0.86
H 1.3173 1.2168 1.1964 -0.55 -0.09 4.31